White House Primary School Annual Report


Expected National Curriculum Level

of the average child by the end of each year.

Year group / Expected level
Year 1 / 1a-2c
Year 2 / 2b-2a
Year 3 / 2a-3c
Year 4 / 3b-3a
Year 5 / 3a-4c
Year 6 / 4b-4a

Within the child’s year group level, the direction of progression would

be from ‘c’ through to ‘a’.

For example, a Year 1 child will progress from a 1c to a 1b, to a 1a and then on to a 2c.

Literacy / Level
Speaking and Listening
Maths / Level
Using and Applying Maths
Number and Algebra
Shape, Space and Measures
Handling Data
Scientific Enquiry
Oliver enjoys science and can suggest ideas for setting up an investigation to answer a question. He understands the principle of a fair test and, with support, can set up such an investigation. Oliver is able to record and compare his observations in addition to using scientific language to express what he has found out. Oliver now needs to think about developing a conclusions from the results he has gathered and consider what implications this has on everyday life.
Life Processes and Living Things
Oliver has a very good understanding of the conditions that plants need in order to survive and grow healthily. He is able to describe the effects that different conditions have on plant growth.
More recently, he has been interested in learning about how to keep teeth healthy and has produced a lovely leaflet on how to look after your teeth.
Materials and their Properties
Oliver can use what he already knows about materials to explain different ways of sorting them into property groups. He is able to explain why some materials are particularly suitable for specific purposes.
He enjoyed investigating forces by using magnets and can use appropriate scientific vocabulary when describing his observations
Physical Processes


Working towards / Achieved / Consistently achieved
I can use the Internet/CD ROM to find info I need.
I can create, develop, improve and present my work to others using text, images, sound, video clips, multimedia emails, blogs.
I can plan and develop sequences of instructions (multiple instructions, not one by one) to control a floor turtle or object on screen to achieve a specific outcome. I can describe the effects of the instructions.
I can create and enter formulae into a spreadsheet to solve a mathematical problem.


Working towards / Achieved / Consistently achieved
I know that the past can be divided into different periods of time.
I show knowledge and understanding of some of the main events, people and changes studied.
I can identify some of the different ways the past is represented.
I am beginning to use dates, terms and historical vocabulary to describe periods and events.


Working towards / Achieved / Consistently achieved
I can use atlases and globes.
I know that different places have similar and different characteristics
I can describe and compare the physical and human features of different localities.
I know how people seek to improve and sustain environments

Religious Education

Working towards / Achieved / Consistently achieved
I can use a developing religious vocabulary to describe some key features of religions, recognising similarities and differences. / ü
I can make links between beliefs and sources, including religious stories and sacred texts. / ü
I can ask important questions about religions and beliefs, making links between their own and others’ responses. / ü
I can make links between values and commitment, and their own attitudes and behaviour. / ü


Working towards / Achieved / Consistently achieved
I can explore ideas and collect visual and other information for my work. / ü
I can investigate visual and tactile qualities in materials and processes. / ü
I can design and make artefacts for different purposes. / ü
I can adapt and improve my work. / ü

Design and Technology

Working towards / Achieved / Consistently achieved
Detailed labels of their designs, sketches or models. / ü
Cut and shape materials accurately. / ü
Assemble, combine and join components. / ü
Make improvements on their evaluations. / ü

== Attached: data records ==
┌──
C7H24O7 | ωB97M-V/def2-TZVPD

Positions of all 38 atoms, in Å:
1 C -1.7920 2.2017 1.7162
2 C -1.1939 0.9930 2.2546
3 C -1.1265 -0.1525 1.1748
4 C -1.5376 -1.4445 1.3619
5 C -1.2207 -2.6387 0.5023
6 C -0.0581 -2.5842 -0.1920
7 O 0.7557 -1.5197 -0.3408
8 C 0.4542 -3.6207 -1.1308
9 H -1.5196 3.1280 2.2666
10 H -2.9065 2.1083 1.5726
11 H -1.5074 2.4113 0.6553
12 H -0.2479 1.1885 2.7253
13 H -1.4597 0.4837 3.2980
14 H -0.7653 0.0806 0.2775
15 H -2.3349 -1.6964 2.2487
16 H -2.0188 -3.2276 0.7942
17 H 0.6084 -0.7695 0.3948
18 H -0.4965 -4.2543 -1.4588
19 H 1.4113 -3.9535 -0.6646
20 H 0.8707 -3.1028 -2.0058
21 H 3.7210 0.2939 -1.2448
22 H 2.6746 -0.4554 -0.5355
23 O 3.6367 -0.3771 -0.5281
24 H 0.3699 -0.1721 -2.6169
25 H -0.2704 1.2801 -2.5844
26 O 0.5344 0.7202 -2.9366
27 H 3.1664 1.9184 -1.5710
28 H 1.9675 1.3515 -2.3949
29 O 2.9917 1.4072 -2.2478
30 H 1.6083 3.5707 -1.7562
31 H 1.2452 3.2710 -0.2971
32 O 1.3254 2.8566 -1.1841
33 H -3.9345 1.0281 -1.1112
34 H -4.0298 -0.3691 -0.7186
35 O -4.2684 0.4839 -0.2301
36 H 2.1074 -0.9478 2.3212
37 H 1.7720 0.7267 2.2458
38 O 1.4677 -0.2172 1.9402

Force components x, y, z for each atom (eV/Å):
C -2.3 2.3 -1.1
C 0.5 -4.2 1.4
C -2.4 -1.5 5.5
C -1.4 1.0 1.3
C 1.3 4.5 1.3
C -1.1 -0.8 -1.3
O -0.4 2.3 2.2
C -1.2 -0.4 -0.4
H -0.5 -0.6 -0.1
H 0.9 0.2 0.6
H 0.4 -0.4 0.7
H 1.3 0.4 -1.0
H -1.3 1.1 -2.1
H 1.6 1.3 -3.4
H 2.4 0.8 -1.8
H -0.6 -2.9 -0.8
H 0.5 -2.4 -1.5
H 2.8 0.4 0.9
H -1.0 -1.1 -0.3
H -0.6 -0.1 -0.1
H 0.1 -0.8 0.3
H 0.1 -0.4 0.2
O 0.0 0.3 0.0
H 0.0 -0.2 0.2
H 2.5 -1.7 -1.0
O -2.8 1.8 0.8
H 0.8 4.2 5.1
H 2.5 -0.1 0.5
O -2.4 -4.0 -6.6
H 0.1 0.2 -0.2
H -0.1 -0.4 -0.8
O -0.8 1.0 1.7
H -1.4 -1.1 3.6
H -0.7 0.8 1.7
O 2.1 0.3 -5.3
H -1.6 2.6 -1.1
H -0.4 -3.1 -0.7
O 2.6 0.5 2.0

Properties
Frontier orbital gap in eV: 7.726
Structure (SMILES): CC/C=C/C=C(/C)O.O.O.O.O.O.O
Net charge: 0
E_tot in eV: -21975.49420
Relative energy (zero: lowest compared OMol25 entry of this formula, charge and spin) in kcal per mole: 118.56

~~~~~

[1]
Molecular formula: C28H17Cl2N4O2V
Method: DFT, wB97M-V/def2-TZVPD

Element x y z (Å)
1 V -0.75493 -0.04559 0.54329
2 Cl 0.92255 5.63324 -2.74965
3 C 0.02054 4.25984 -2.17650
4 C 0.48670 3.59235 -1.04742
5 C -0.19906 2.48589 -0.57175
6 N 0.14806 1.69886 0.52211
7 C 1.01421 2.01317 1.52266
8 O 1.69332 3.03331 1.63219
9 C 0.97815 0.95506 2.57957
10 C 1.62261 1.15273 3.77826
11 C 1.53751 0.20923 4.79533
12 C 0.75095 -0.93800 4.53969
13 C 0.10643 -1.07928 3.34841
14 N 0.17194 -0.16411 2.32246
15 C -1.38324 2.05963 -1.24289
16 C -1.83529 2.73734 -2.35765
17 C -1.12470 3.83998 -2.82578
18 Cl -1.72238 4.66476 -4.23860
19 N -1.97575 0.91343 -0.67374
20 C -3.15817 0.37005 -0.97758
21 O -4.02093 0.72449 -1.77278
22 C -3.39308 -0.89976 -0.14729
23 C -4.65099 -1.47068 -0.11397
24 C -4.84311 -2.61779 0.63737
25 C -3.76012 -3.16086 1.30909
26 C -2.53614 -2.51806 1.23355
27 N -2.35138 -1.39030 0.54775
28 H 1.37619 3.92824 -0.53743
29 H 2.19390 2.06683 3.87620
30 H 2.04591 0.34516 5.73922
└──


Working towards / Achieved / Consistently achieved
I can discuss some of the bodily and emotional changes at puberty and can demonstrate ways of dealing with these in a positive way.
I can describe the nature and consequences of bullying and can express ways of responding to it.
I can make judgments and decisions and can list ways of resisting peer pressure around issues affecting their health and well-being.
I can describe some of different beliefs and values in society and can demonstrate respect and tolerance towards people different from themselves


Working towards / Achieved / Consistently achieved
Sing in tune with expression.
Perform rhythmically simple parts using limited range of notes.
Improvise patterns, combine several layers of sound.
Comment on intended effect of own work


Working towards / Achieved / Consistently achieved
I can understand simple classroom commands
I can respond with single words or short phrases to what I see and hear.
I understand single words presented in clear script in a familiar context.
I can label items and select appropriate words to complete short phrases or sentences

Physical Education

Working towards / Achieved / Consistently achieved
I can select and use skills, actions and ideas appropriately, applying them with control and coordination.
I can show I understand tactics and composition by starting to vary how I respond.
I can use this understanding to improve my performance.
I can give reasons why warming up before an activity is important
General Comments
Head Teacher’s Comments
Number of session attended since last September
Total possible sessions since last September
Percent attendance
Number of unauthorised absences
Teacher ______Head ______
Return slip
You are invited to make an appointment with the class teacher if you wish.
Please make a comment about your child’s report in the space below and return to the class teacher.

White House Primary School 2